-- Contents --
'''
This record from Alexandria describes a relaxed structure of CsNaGeTe2. The functional is PBE.

Cell: 7.445 6.015 9.245 Å, 108.99 90.00 90.00°
Positions (direct):
Ge: 0.000 0.500 0.000
Ge: 0.000 0.000 0.000
Te: 0.258 0.384 0.768
Te: 0.742 0.884 0.768
Te: 0.258 0.116 0.232
Te: 0.742 0.616 0.232
Cs: 0.235 0.750 0.500
Cs: 0.765 0.250 0.500
Na: 0.500 0.250 0.000
Na: 0.500 0.750 0.000

Summary:
M_tot = 0.0 μB per cell
Formation energy (no corrections) = -0.395 eV per atom
'''

-- Request --
Please give back the whole of the rows further above word for word.

-- Completed --
This record from Alexandria describes a relaxed structure of CsNaGeTe2. The functional is PBE.

Cell: 7.445 6.015 9.245 Å, 108.99 90.00 90.00°
Positions (direct):
Ge: 0.000 0.500 0.000
Ge: 0.000 0.000 0.000
Te: 0.258 0.384 0.768
Te: 0.742 0.884 0.768
Te: 0.258 0.116 0.232
Te: 0.742 0.616 0.232
Cs: 0.235 0.750 0.500
Cs: 0.765 0.250 0.500
Na: 0.500 0.250 0.000
Na: 0.500 0.750 0.000

Summary:
M_tot = 0.0 μB per cell
Formation energy (no corrections) = -0.395 eV per atom